Analysis and Design Features
• Conduct static and dynamic analyses for structures with moment frames, braced frames, shear walls, or any combination of these systems.
• Work with members made of various materials, including steel, concrete, or custom-defined materials.
• Automated mesh generation for walls and diaphragms.
• Analysis options for tension-only members, AISC 360 Direct Analysis Method, P-delta effects, and foundation springs.
• Support for rigid, semirigid, and flexible diaphragms, as well as construction sequence analysis and concrete creep and shrinkage considerations.
• Automatic generation of load combinations for steel and concrete designs based on specified codes.
• Automatic calculation of K-factors (effective length factors) and unbraced lengths, with options for user adjustments.
• Drift Control functionality to study and manage building drift behavior.
Static Load Generation
• Automatically apply distributed gravity loads and live load reduction factors.
• Calculate member self-weights for beams, columns, walls, slabs, and decks.
• Generate wind and seismic forces based on multiple international codes, including IS875, IBC, ASCE 7, UBC, and Eurocode.
• Calculate notional loads based on various load types, adhering to codes such as IS800 and AISC 360.
Dynamic Analysis
• Automatically determine structural mass properties, including story mass, center of mass, and mass moment of inertia.
• Optionally include the effects of center of mass offset for accidental torsion moments.
• Perform Response Spectra analysis with options for SRSS or CQC combinations of modal results, considering story mass eccentricity.
Reports, Outputs, and Graphical Features
• Produce detailed design documentation and customizable reports.
• Model efficiently with customizable toolbars, views, display options, and unit systems.
• Generate animated deflected shapes, calculate story drifts, and export frame and wall elevations to CAD DXF.
• Display analysis and design results graphically or in text format, with options for spreadsheet export.
• Obtain comprehensive material takeoff including piece count and steel tonnage for comparison of design schemes.
Steel Standard Design
• Perform member and joint design checks according to various standards, including IS800, AISC 360, BS 5950, CAN/CSA S16, and Eurocode.
• Design column web plates, stiffeners, and calculate effective length factors, flange bracing, and unbraced lengths.
• Interactive control for review and design adjustments.
Steel Seismic Design
• Meet seismic design requirements with systems for concentric and eccentric braced frames, and moment frames.
• Perform additional seismic code checks and automatically generate seismic load combinations.
• Support for seismic zones in various codes, including AISC 341 and FEMA 350.
• Analyze and design specific seismic systems such as Star Seismic and CoreBrace Buckling Restrained Braces, and DuraFuse Moment Frame connections.
Shear Wall Design
• Optimize drift and shear wall force calculations with integrated post-processing modules.
• Use the Drift module to identify key members contributing to drift and optimize their sizes.
• The Shear Wall Force post-processor provides detailed design forces for various sections of the wall.
Data records, as found in the file >
Below is a relaxed Li2Y2Ni crystal, with properties calculated at the GGA-PBE level.

- ΔH_f (0 K) (kJ/mol of atoms) = 16
- total moment (μB per atom) = 0.000
- total energy (eV/atom) = -4.34
- D(E_F) (states/eV/cell) = 13.95
- symmetry = P4/mbm, No. 127
- mass density (Mg/m³) = 4.0

POSCAR file:
```
Li2Y2Ni
1.0
6.627 0.000 0.000
0.000 6.627 0.000
0.000 0.000 4.731
Li Y Ni
4 4 2
Direct
0.366 0.866 0.000
0.134 0.366 0.000
0.866 0.634 0.000
0.634 0.134 0.000
0.313 0.187 0.500
0.687 0.813 0.500
0.813 0.313 0.500
0.187 0.687 0.500
0.500 0.500 0.000
0.000 0.000 0.000
```

~~~~~

1.
Below is a relaxed SrSnAu2 crystal, with properties calculated at the PBE level.

Values from the calculation:
E_form   -2.395 eV/f.u.

Lattice parameters (Å, degrees): 6.7230 7.2679 8.3832 90.00 90.00 90.00
Fractional positions:
1 Sr 0.3352 0.2500 0.0193
2 Sr 0.8352 0.7500 0.4807
3 Sr 0.6648 0.7500 0.9807
4 Sr 0.1648 0.2500 0.5193
5 Sn 0.6581 0.2500 0.3920
6 Sn 0.1581 0.7500 0.1080
7 Sn 0.3419 0.7500 0.6080
8 Sn 0.8419 0.2500 0.8920
9 Au 0.9362 0.0506 0.2020
10 Au 0.4362 0.9494 0.2980
11 Au 0.0638 0.5506 0.7980
12 Au 0.5638 0.4494 0.7020
13 Au 0.0638 0.9494 0.7980
14 Au 0.5638 0.0506 0.7020
15 Au 0.9362 0.4494 0.2020
16 Au 0.4362 0.5506 0.2980



2.
Below is a relaxed LiGa2Pb crystal, with properties calculated at the PBE level.

Values from the calculation:
E_form   -0.147 eV/f.u.

Lattice parameters (Å, degrees): 4.3725 4.3725 5.8826 68.18 68.18 60.00
Fractional positions:
1 Pb 0.0000 0.0000 0.0000
2 Ga 0.7940 0.7940 0.6180
3 Ga 0.2060 0.2060 0.3820
4 Li 0.5000 0.5000 0.5000



3.
Below is a relaxed SbSO crystal, with properties calculated at the PBE level.

Values from the calculation:
Formation energy (no corrections)   -0.41 eV/atom
Energy above the lowest structure with this stoichiometry   0.100 eV/atom

Lattice parameters (Å, degrees): 5.2969 6.9592 6.1162 90.00 90.00 90.00
Fractional positions:
1 O 0.2500 0.8123 0.5170
2 O 0.7500 0.3123 0.9830
3 O 0.2500 0.6877 0.0170
4 O 0.7500 0.1877 0.4830
5 S 0.7500 0.8395 0.1596
6 S 0.7500 0.6605 0.6596
7 S 0.2500 0.1605 0.8404
8 S 0.2500 0.3395 0.3404
9 Sb 0.7500 0.4199 0.2863
10 Sb 0.7500 0.0801 0.7863
11 Sb 0.2500 0.9199 0.2137
12 Sb 0.2500 0.5801 0.7137



4.
Below is a relaxed Tb6Dy3Tm2Zr crystal, with properties calculated at the PBE level.

Values from the calculation:
E_form   0.502 eV/f.u.

Lattice parameters (Å, degrees): 6.0738 6.0738 11.6133 94.96 94.96 119.91
Fractional positions:
1 Tb 0.9186 0.5912 0.7560
2 Tb 0.7543 0.7543 0.2434
3 Tb 0.0814 0.4088 0.2440
4 Tb 0.5912 0.9186 0.7560
5 Tb 0.2457 0.2457 0.7566
6 Tb 0.4088 0.0814 0.2440
7 Dy 0.1665 0.8335 0.5000
8 Dy 0.8335 0.1665 0.5000
9 Dy 0.5000 0.5000 0.5000
10 Tm 0.3331 0.6669 0.0000
11 Tm 0.6669 0.3331 0.0000
12 Zr 0.0000 0.0000 0.0000

~~~~~

Entry 1:
Here is a relaxed structure of Pr3DySc2 from the Alexandria database. Energies are from PBE-GGA.

Cell and atoms, written as POSCAR:
```
Pr3DySc2
1.0
7.301 -4.923 0.000
7.301 4.923 0.000
0.000 0.000 5.549
RAM Structural System simplifies complex structural challenges, allowing engineers to produce accurate designs efficiently while adhering to all relevant codes and standards.